There is no doubt that this year’s election was a decisive one. Predictions cast victories for both candidates and from extremely close to landslides for each. Ultimately, a major factor in deciding the election was the demographic of the electorate – those who do actually vote.

Historically, those under 30 have had the lowest turnout rates. This year about 19 percent of the votes cast were by 18-30 year olds, perhaps enough to have made a difference. Some on the younger end of this are in the unique position of voting as high school students.

“I felt that it was my obligation to vote,” said Jurien Garrison, an 18-year-old senior at Scarborough High School. “My parents always taught me the value of what it means to live in America and how special it is to have a say.”

These student voters were enthusiastic not only to be able to vote for the first time, but also to cast their ballot in a particularly important election. In Maine, with the presidential and Senate races and same-sex marriage initiative, voter turnout was expected to be as high as 70 or 80 percent.

“The experience was really cool,” Garrison said. His parents wanted him to vote absentee to avoid lines, but he chose instead to vote in person for the experience of “seeing the crowds and shaking local politicians’ hands.”

“It was a good experience and makes me feel like I made a contribution,” said Jake Alofs, also a Scarborough senior.


Not every voter enjoyed this experience. Senior Aaron Ravin said that it was “intimidating to have all the candidates just waiting for you when you got there.” His voting booth then did not have a pen, and he was lucky to have had his own.

“I honestly didn’t enjoy it that much,” he said. All three were interviewed on Election Day, after voting but before the results were in.

Ravin did not follow any issues or races in particular, although he did watch two of the presidential debates. “Those were annoying,” he said. “It’s basically pointing fingers and saying the other is lying.” Question 1 was the only issue he knew much about, other than the presidential race.

Garrison mostly followed the presidential candidates, while Alofs was interested in the Senate race, won by former Gov. Angus King. “It’s a big step to have an independent senator,” he said, although he did add that if it had not been a presidential election he would not have voted.

One thing all three agree upon, however, is the value of casting a ballot.

Crystal structures, as found in the file:
[1]
{
  "formula": "MgCo",
  "functional": "SCAN",
  "state": "PBEsol geometry",
  "ef_ev_per_atom": 0.19,
  "lattice": [[-0.757, 3.887, 0.162], [-2.466, -2.421, -1.942], [-4.777, -1.248, 7.624]],
  "species": ["Co", "Co", "Co", "Co", "Mg", "Mg", "Mg", "Mg"],
  "frac_coords": [[0.000, 0.000, 0.750], [0.000, 0.000, 0.250], [0.667, 0.333, 0.250], [0.333, 0.667, 0.750], [0.667, 0.333, 0.907], [0.333, 0.667, 0.407], [0.333, 0.667, 0.093], [0.667, 0.333, 0.593]]
}

[2]
{
  "formula": "MgCo",
  "functional": "SCAN",
  "state": "PBEsol geometry",
  "ef_ev_per_atom": 0.06,
  "lattice": [[-2.513, -0.430, 1.361], [-1.001, -1.431, -2.302], [2.510, -6.107, 2.705]],
  "species": ["Mg", "Mg", "Co", "Co"],
  "frac_coords": [[0.500, 0.000, 0.676], [0.000, 0.500, 0.324], [0.500, 0.000, 0.081], [0.000, 0.500, 0.919]]
}

----------

1.
An optimized crystal structure of U3SeS5. Source: Alexandria via LeMat-Bulk, functional PBE-GGA.

abc: 12.3465 8.8201 9.9637
angles: 90.00 112.58 90.00
Space group C2/m (No. 12)
Unique sites:
U  0.0000  0.0000  0.0000 (multiplicity 2)
U  0.0000  0.0000  0.5000 (multiplicity 2)
U  0.1529  0.5000  0.1751 (multiplicity 4)
U  0.1678  0.5000  0.6658 (multiplicity 4)
Se  0.1149  0.0000  0.8048 (multiplicity 4)
S  0.0000  0.3078  0.5000 (multiplicity 4)
S  0.0767  0.5000  0.8824 (multiplicity 4)
S  0.1605  0.1943  0.1733 (multiplicity 8)
S  0.2285  0.0000  0.5325 (multiplicity 4)

E_form (uncorrected), eV/atom: -1.206
Total moment, Bohr magnetons per cell: 1.13

2.
An optimized crystal structure of GdAlCoRu. Source: Alexandria via LeMat-Bulk, functional PBE-GGA.

abc: 6.3555 6.3555 6.3555
angles: 90.00 90.00 90.00
Space group F-43m (No. 216)
Unique sites:
Gd  0.0000  0.0000  0.0000 (multiplicity 4)
Al  0.0000  0.0000  0.5000 (multiplicity 4)
Co  0.2500  0.2500  0.7500 (multiplicity 4)
Ru  0.2500  0.2500  0.2500 (multiplicity 4)

Total moment, Bohr magnetons per cell: 28.47
Total energy, eV/atom: -8.826

- Number 2 is which compound?
  GdAlCoRu

- Which formula does entry 1 have?
  U3SeS5

- Which formula does entry 2 have?
  GdAlCoRu

- Number 1 is which compound?
  U3SeS5

“I’m glad I voted,” Alofs said. “I wanted to make a difference. Every vote counts.”


“I feel proud to have used my right to form my own political opinion and to stand by it as a young voter trying to better this country,” said Garrison. “The opportunity to vote in this election has encouraged me to get young people like myself involved in politics.”

Enthusiasm was so high, in fact, that no students could be found who were eligible to vote but chose not to. Were this trend to spread, it would drastically change the method of campaigns. The turnout of groups such as young voters and minority ethnic groups can change the course of elections.

Even Ravin’s negative experience will not affect his decision to vote in the future. Speaking about the why he chose to vote, he said that he thinks “every eligible American citizen should feel the responsibility of helping determine the leaders of our country, state, and town and also help decide on important issues that have been redirected to the people.”

Ultimately, he said, it is a civic duty to vote. “It’s not only a right, but a responsibility.”

Ali Pelczar is a senior at Scarborough High School.